"Hey, Shawn." Mia, a girl in their grade, said. Shawn was at his locker. He turned around.
"Hey, Mia. What's up?" Shawn said. He always liked Mia. He always thought she was pretty.
"Nothing much. I was just wondering if you were doing anything...maybe this weekend."
"That depends." Shawn smiled at her with his most charming smile. "Why you asking?"
"Oh. I don't know. Maybe you would like to go out with me?" She smiled back.
"Well maybe I would."
"Talk to you later, Shawn."
Mia walked away and Courtney walked up.
"Ahh, Mia. Mia Roberts. Be careful, Shawn. Be careful. I don't want you to get your heart broken." She said.
"That bad, huh?"
"Well, not that bad. It's just that every guy she's gone out with...she broke up with them. So, be careful." Courtney walked away.
Finally, it was the end of the day. Shawn was walking down the halls when Carmen, another girl in their class, came up to him.
"Hey, Shawn. Can I ask you something?"
Shawn saw who it was and he started blushing. It was Carmen. He always thought that she was hot.
"Sure." He replied.
Starting from the GGA+U geometry in Alexandria, the powder diffractogram of SrLa2Co3O9 was calculated for Cu Kα (weighted mean of Kα1 and Kα2).
Intensities are scaled so that the largest is 100.

Most intense lines, 10 to 80 degrees two-theta, sorted by position:
two_theta, intensity
32.40, 24
32.83, 100
32.99, 24
40.20, 10
40.69, 11
46.92, 33
47.32, 15
58.07, 21
58.84, 29
68.84, 17

Crystal structure
a = 5.455 Å, b = 5.455 Å, c = 13.464 Å
α = 90.78°, β = 90.78°, γ = 59.70°
Fractional positions:
Sr  0.003  0.003  0.250
Sr  0.997  0.997  0.750
La  0.330  0.330  0.917
La  0.335  0.335  0.415
La  0.665  0.665  0.585
La  0.670  0.670  0.083
Co  0.000  0.000  0.000
Co  0.000  0.000  0.500
Co  0.333  0.333  0.667
Co  0.335  0.335  0.168
Co  0.665  0.665  0.832
Co  0.667  0.667  0.333
O  0.021  0.516  0.262
O  0.148  0.645  0.071
O  0.154  0.154  0.097
O  0.188  0.188  0.561
O  0.192  0.683  0.590
O  0.317  0.808  0.410
O  0.355  0.852  0.929
O  0.480  0.480  0.771
O  0.484  0.979  0.738
O  0.516  0.021  0.262
O  0.520  0.520  0.229
O  0.645  0.148  0.071
O  0.683  0.192  0.590
O  0.808  0.317  0.410
O  0.812  0.812  0.439
O  0.846  0.846  0.903
O  0.852  0.355  0.929
O  0.979  0.484  0.738

=====

For Nd8Sm5Er, a PBE-relaxed structure gives the calculated PXRD pattern in this record (λ = 1.5418 Å (Cu Kα)).
No peak broadening, texture or thermal motion is included.

Most intense lines, 5 to 70 degrees two-theta, in order of falling intensity:
| two_theta | I/Imax |
| --- | --- |
| 31.2 | 100 |
| 32.2 | 62 |
| 29.4 | 46 |
| 34.1 | 36 |
| 30.9 | 35 |
| 31.4 | 34 |
| 25.4 | 24 |
| 31.7 | 23 |
| 49.4 | 21 |
| 23.1 | 18 |

Structural model:
```
data_Nd8Sm5Er
_chemical_formula_sum 'Nd8 Sm5 Er1'
_cell_length_a 8.6590
_cell_length_b 8.6590
_cell_length_c 9.1709
_cell_angle_alpha 121.37
_cell_angle_beta 121.37
_cell_angle_gamma 82.17
_space_group_name_H-M_alt 'P 1'
_space_group_IT_number 1
_space_group_name_Hall 'P 1'
loop_
_atom_site_label
_atom_site_fract_x
_atom_site_fract_y
_atom_site_fract_z
Nd1 0.0630 0.0630 0.2812
Nd2 0.1195 0.5688 0.9513
Nd3 0.2833 0.1199 0.7715
Nd4 0.4312 0.8805 0.0487
Nd5 0.4907 0.3818 0.7141
Nd6 0.6182 0.5093 0.2859
Nd7 0.8801 0.7167 0.2285
Nd8 0.9370 0.9370 0.7188
Sm1 0.1042 0.5497 0.5394
Sm2 0.2709 0.3297 0.2305
Sm3 0.4503 0.8958 0.4606
Sm4 0.6703 0.7291 0.7695
Sm5 0.7768 0.2232 0.5000
Er1 0.7767 0.2233 0.0000
```
"You wanna go out with me sometime? Maybe this weekend?"
Shawn knew that Mia had just asked him out earlier but he couldn't reject Carmen. So he smiled that smile of his at her.
"Sure. Sounds great."
"Talk to you later, Shawn."
Carmen walked way and Courtney rushed up to Shawn.
"Ahh. Carmen. Carmen Thomas. She's--wait! Didn't you already get asked out?"
"Shh! No one needs to know."
"But Shawn. That's wrong."
"Let's not talk about this right now. Come right over to my house and I'll explain." Shawn said.
"So Mia Roberts and Carmen Thomas! Way to go, Shawn!" Courtney exclaimed.
"Wait. Weren't you just saying it was wrong of me to accept both?"
"Well, yeah but you've always had your eye on both of them for as long as I can remember."
"So which one?"
"Which one do you honestly like better?"
"Well, Mia is sweet and pretty but Carmen is way hot!"
"Okay, so who are you going to go out with first?"
"Oh. I didn't think about that. Flip a coin?"
"I can't believe you, Shawn. You're flipping a coin to choose a girl?" Courtney asked. Shawn gave her a look that read "Duh!" Courtney sighed. "Here's a quarter."
"Alright. So here it goes." Shawn flips the coin. "Heads. Which one is that?"
Courtney sighs, "You tell me."
"Shawn." He looked up at her. "You made that decision on your own."
"What do you mean?"
"You forgot to assign who got heads and who got tails."
"I did? Oh, well, then I guess I like Carmen more."
"Great. Then go out with her first."
"Yeah. I will."
Shawn leaned against the wall near his locker. He had his arms crossed and one foot propped up against the wall. The bell rang and students were filling the halls. He saw Carmen and he ran up to her.
"So Carmen. I was thinking...is Friday night good for you?" He asked as he smiled at her.
"Yeah. Perfect." Carmen answered.
"Great. Pick ya up at eight." Shawn turned around and quickly went to find Mia. He finally found her.
"Hey, Shawn. What's up?"
"Nothing much. I was thinking...is Saturday night good for you?" He smiled at her.
"Great. Pick ya up at eight." Shawn turned around and went to his class.
It was 11:30 PM on Friday night. Courtney was sitting in her room when her cell phone suddenly started ringing. It was Shawn.
"Hey, Shawnie! How was your date with Carmen?" She asked.
"Horrible." Shawn answered.
"What happened?"
"All she did was complain about herself. How her hair wasn't right. Or that her make-up was smudging or whatever. I don't even think she said a word to me! And get this! I tried to kiss her and she's all like 'Sorry but I'm wearing new lip gloss. I'm testing to make sure it stays on all night.' I mean, seriously?"
"Wow. Sorry about that, Shawn."
"It's alright. I just never want to see her again. She treated me like I wasn't even there. Ugh. Hopefully my date with Mia will be better."
"Of course it will. Things get worse before they get better."
"Yep. Well, I'll talk to you tomorrow. Goodnight, Courtney."
"Goodnight, Shawn."
They both hung up.
Courtney's cell phone rang at 11 PM on Saturday night waking her up. It was Shawn.
"Shawn. How'd it go?"
"Good. Not bad."
"What happened?"
"Nothing really. Mia's so sweet and so pretty but...I don't know. I just don't feel that attracted to her."
"Hm. That's a shame."
"Yeah. So I don't know which one to choose. Help me."
"Tomorrow, Shawn."
"Okay. First thing. My house."
"Okay. bye, Shawn."
"Goodnight, Courtney."
They both hung up.
"So is it Mia or Carmen. Carmen...or Mia." Shawn said while pacing back and forth. Courtney sat there on his couch.
"Which date was better?"
"Mia obviously! But I'm just not attracted to her. Sure she's pretty but...I don't like like her. I mean I did at first but now she's just..."
Shawn kept rambling on. Courtney tried to get his attention.
He kept rambling. This time about Carmen.
He kept rambling. This time about Mia.
He kept rambling. This time about Carmen and Mia.
He stopped. "What!"
"Which one?"
"Mia! Now shut up and listen to me I'm--"
"Mia. It's Mia." Shawn smiled.
"There ya go."
"Yeah. She is very beautiful. I guess I just need more time with her. Maybe once I get to know her I'll start to like her."
"Well, I gotta call her."
"You do that." Courtney got up and started walking away. Shawn grabbed her hand and pulled her closer to him.
"Thanks for helping me with that." He smiled at her.
"Aw. Shawn. You made the decision all on your own. I did nothing."
Shawn's smile quickly went away. He let go of her hand. "R-right. Well, I gotta call Mia. Talk to you later, Courtney."
"Goodbye, Shawnie!" Courtney said as she started walking away. She opened the door and walked out.
Shawn grabbed his cell phone and dialed Mia's number. She picked up after the first ring.
"Hey, Mia. It's Shawn..."